Data:
........
Entry 1:
The following is a theoretical X-ray powder pattern of CaP2H8C2O6. It was derived from a PBE-relaxed structure, using Cu Kα, 1.54184 Å.

```
CaP2H8C2O6
1.0
10.3226 -2.8384 0.0000
10.3226 2.8384 0.0000
-2.3211 0.0000 6.9669
Ca P H C O
2 4 16 4 12
Direct
0.1319 0.8681 0.7500 Ca
0.8681 0.1319 0.2500 Ca
0.2231 0.5743 0.0528 P
0.4257 0.7769 0.4472 P
0.5743 0.2231 0.5528 P
0.7769 0.4257 0.9472 P
0.1018 0.2923 0.1310 H
0.1444 0.5025 0.7280 H
0.1709 0.3863 0.8938 H
0.1955 0.6059 0.3649 H
0.2923 0.1018 0.6310 H
0.3863 0.1709 0.3938 H
0.3941 0.8045 0.1351 H
0.4975 0.8556 0.7720 H
0.5025 0.1444 0.2280 H
0.6059 0.1955 0.8649 H
0.6137 0.8291 0.6062 H
0.7077 0.8982 0.3690 H
0.8045 0.3941 0.6351 H
0.8291 0.6137 0.1062 H
0.8556 0.4975 0.2720 H
0.8982 0.7077 0.8690 H
0.0982 0.5379 0.8684 C
0.4621 0.9018 0.6316 C
0.5379 0.0982 0.3684 C
0.9018 0.4621 0.1316 C
0.0971 0.6726 0.2361 O
0.1287 0.7796 0.0120 O
0.2204 0.8713 0.4880 O
0.3268 0.5036 0.5774 O
0.3274 0.9029 0.2639 O
0.4964 0.6732 0.9226 O
0.5036 0.3268 0.0774 O
0.6726 0.0971 0.7361 O
0.6732 0.4964 0.4226 O
0.7796 0.1287 0.5120 O
0.8713 0.2204 0.9880 O
0.9029 0.3274 0.7639 O
```

Largest 10 diffraction maxima, most intense first, 2θ from 10° to 90°:
26.30 deg, d = 3.389 Å, I = 100
26.59 deg, d = 3.352 Å, I = 94
27.29 deg, d = 3.268 Å, I = 87
33.53 deg, d = 2.673 Å, I = 72
27.67 deg, d = 3.224 Å, I = 65
21.56 deg, d = 4.121 Å, I = 65
19.77 deg, d = 4.490 Å, I = 63
20.73 deg, d = 4.284 Å, I = 62
18.12 deg, d = 4.897 Å, I = 49
31.52 deg, d = 2.838 Å, I = 40

***

Entry 2:
The following is a theoretical X-ray powder pattern of Tl2SCl2. It was derived from a PBE-relaxed structure, using Cu Kα, 1.54184 Å.

```
Tl2SCl2
1.0
6.4731 0.0000 0.0000
0.0000 6.4731 0.0000
0.0000 0.0000 12.6732
Tl S Cl
2 1 2
Direct
0.0000 0.0000 0.1971 Tl
0.0000 0.0000 0.8029 Tl
0.0000 0.0000 0.0000 S
0.0000 0.0000 0.3950 Cl
0.0000 0.0000 0.6050 Cl
```

Largest 10 diffraction maxima, most intense first, 2θ from 10° to 90°:
13.68 deg, d = 6.473 Å, I = 100
19.39 deg, d = 4.577 Å, I = 45
30.89 deg, d = 2.895 Å, I = 28
19.60 deg, d = 4.528 Å, I = 22
27.56 deg, d = 3.237 Å, I = 19
47.69 deg, d = 1.907 Å, I = 16
38.13 deg, d = 2.360 Å, I = 16
23.98 deg, d = 3.710 Å, I = 14
25.17 deg, d = 3.538 Å, I = 13
40.69 deg, d = 2.217 Å, I = 13

=====

Simulated powder XRD pattern
Compound: NaSb2Au4
Radiation: Cu Kα (λ = 1.5418 Å)
Structure: DFT lattice parameters and positions (GGA-PBE)
Kinematic intensities with the Lorentz-polarization factor, no thermal factor.

Crystal structure
```
data_NaSb2Au4
_cell_length_a 17.2944
_cell_length_b 4.8217
_cell_length_c 7.6057
_cell_angle_alpha 90.00
_cell_angle_beta 90.00
_cell_angle_gamma 90.00
_space_group_name_H-M_alt 'P n m a'
_space_group_IT_number 62
loop_
_space_group_symop_operation_xyz
'x,y,z'
'-x,-y,-z'
'-x+1/2,-y,z+1/2'
'x+1/2,y,-z+1/2'
'x+1/2,-y+1/2,-z+1/2'
'-x+1/2,y+1/2,z+1/2'
'-x,y+1/2,-z'
'x,-y+1/2,z'
loop_
_atom_site_label
_atom_site_fract_x
_atom_site_fract_y
_atom_site_fract_z
Na1 0.1442 0.2500 0.0296
Sb1 0.0125 0.7500 0.2823
Sb2 0.2252 0.2500 0.5837
Au1 0.0291 0.7500 0.9050
Au2 0.0801 0.2500 0.4106
Au3 0.1736 0.7500 0.3956
Au4 0.1905 0.7500 0.7790
```

Largest 10 diffraction maxima, low angle first, 5° ≤ 2θ ≤ 70°:
Position (°2θ), Rel. int.
19.32, 42.0
23.96, 24.0
27.71, 26.6
28.11, 27.5
34.01, 58.6
37.30, 72.1
39.89, 69.8
41.58, 100.0
43.68, 19.6
46.01, 26.9

Simulated powder XRD pattern
Compound: SmTa2N4
Radiation: Cu Kα (λ = 1.5418 Å)
Structure: DFT lattice parameters and positions (GGA-PBE)
Kinematic intensities with the Lorentz-polarization factor, no thermal factor.

Crystal structure
```
data_SmTa2N4
_cell_length_a 3.1607
_cell_length_b 10.2917
_cell_length_c 10.4680
_cell_angle_alpha 90.00
_cell_angle_beta 90.00
_cell_angle_gamma 90.00
_space_group_name_H-M_alt 'C m c m'
_space_group_IT_number 63
_space_group_name_Hall '-C 2c 2'
loop_
_atom_site_label
_atom_site_fract_x
_atom_site_fract_y
_atom_site_fract_z
Sm1 0.0000 0.1168 0.2500
Ta1 0.0000 0.3710 0.0665
........
Assignment:
The reader should copy the lines earlier on from the one with "0.8982 0.7077" to the one with "0.0774" verbatim.
Reply:
0.8982 0.7077 0.8690 H
0.0982 0.5379 0.8684 C
0.4621 0.9018 0.6316 C
0.5379 0.0982 0.3684 C
0.9018 0.4621 0.1316 C
0.0971 0.6726 0.2361 O
0.1287 0.7796 0.0120 O
0.2204 0.8713 0.4880 O
0.3268 0.5036 0.5774 O
0.3274 0.9029 0.2639 O
0.4964 0.6732 0.9226 O
0.5036 0.3268 0.0774 O